Input >
C12H28F2N5O9S2V | ωB97M-V/def2-TZVPD

```
59
C12H28F2N5O9S2V | OMol25 | ωB97M-V/def2-TZVPD
O 0.377 -2.508 0.428
V 0.255 -1.141 -0.383
N 0.796 -1.857 -2.227
S 1.929 -1.367 -3.342
O 1.358 -0.694 -4.449
O 2.982 -2.274 -3.530
F 2.558 -0.241 -2.420
S -0.047 -2.874 -3.181
O 0.606 -4.022 -3.661
O -1.082 -2.247 -3.916
F -0.864 -3.504 -1.940
C -2.893 -1.324 -1.356
O -1.819 -1.159 -0.769
N -4.046 -0.800 -0.976
C -5.268 -1.052 -1.741
C -4.189 -0.119 0.288
H -3.003 -2.021 -2.195
H -6.006 -1.414 -1.027
H -5.154 -1.819 -2.503
H -5.575 -0.124 -2.219
H -3.351 -0.222 0.965
H -4.408 0.938 0.092
H -5.114 -0.405 0.794
C 0.854 2.157 -0.740
O 0.357 1.027 -0.808
N 1.283 2.871 -1.761
C 1.734 4.230 -1.523
C 1.069 2.457 -3.137
H 1.022 2.625 0.239
H 0.929 4.963 -1.663
H 2.456 4.554 -2.271
H 2.095 4.369 -0.508
H 1.107 1.385 -3.279
H 0.052 2.754 -3.423
H 1.726 2.965 -3.836
C 2.932 -0.502 1.352
O 2.401 -0.725 0.263
N 3.508 0.645 1.690
C 3.908 1.589 0.656
C 4.065 0.888 3.013
H 2.934 -1.239 2.168
H 3.440 1.297 -0.281
H 4.968 1.437 0.421
H 3.767 2.616 0.980
H 3.588 1.723 3.519
H 4.017 -0.002 3.641
H 5.132 1.056 2.851
C -0.887 -0.048 2.574
O -0.368 -0.324 1.493
N -1.526 -0.923 3.346
C -1.560 -0.677 4.793
C -1.785 -2.278 2.878
H -0.897 0.987 2.937
H -2.512 -1.012 5.199
H -1.473 0.393 4.970
H -0.723 -1.206 5.247
H -2.711 -2.657 3.310
H -1.969 -2.197 1.809
H -0.972 -2.948 3.152
```

Energy relative to the best compared isomer or geometry (same formula, charge and spin): 0.00 kcal/mol
Total charge: +1
Multiplicity: 2

---

C12H28F9N6O12SY | ωB97M-V/def2-TZVPD

```
69
C12H28F9N6O12SY | OMol25 | ωB97M-V/def2-TZVPD
Y 0.990 -0.478 -0.077
C 3.765 1.530 3.413
F 3.056 0.806 4.285
F 4.293 2.572 4.035
F 4.738 0.775 2.935
S 2.557 2.139 2.118
O 3.140 3.258 1.423
O 2.337 0.982 1.256
O 1.407 2.533 2.884
C -0.494 2.772 -0.646
O -1.817 2.761 -0.084
O -0.042 1.505 -0.705
C -0.443 3.594 -1.937
F -0.206 4.885 -1.696
F 0.568 3.195 -2.768
F -1.562 3.490 -2.680
C -2.027 3.859 0.784
C -3.393 3.528 1.477
H -4.231 3.906 0.891
H -3.610 2.467 1.628
H -3.452 3.895 2.507
H -2.236 4.765 0.214
H -1.334 3.972 1.619
H 0.243 3.277 -0.004
C -2.133 -2.144 -0.828
O -2.948 -2.418 0.337
O -0.879 -1.929 -0.354
C -2.268 -3.160 -1.980
F -3.462 -3.829 -1.976
F -2.242 -2.447 -3.139
F -1.329 -4.136 -2.072
C -4.329 -2.179 0.177
C -5.071 -2.649 1.441
H -4.788 -3.677 1.665
H -4.713 -2.017 2.253
H -6.139 -2.595 1.242
H -4.806 -2.687 -0.668
H -4.594 -1.135 -0.032
H -2.446 -1.146 -1.163
O 0.688 -0.761 -2.499
H 0.676 -1.492 -3.124
H 0.207 -0.043 -2.936
O 1.660 -2.051 1.701
H 1.668 -3.004 1.817
H 1.285 -1.699 2.523
C 3.141 -3.027 -1.302
O 2.446 -2.111 -0.844
N 3.426 -4.134 -0.582
N 3.615 -2.949 -2.575
H 3.732 -4.878 -1.187
H 3.188 -4.275 0.376
H 3.038 -2.415 -3.197
H 4.370 -3.556 -2.837
C 3.416 0.725 -2.547
O 2.908 0.499 -1.451
N 4.666 0.324 -2.873
N 2.803 1.505 -3.475
H 5.062 -0.329 -2.217
H 5.185 0.497 -3.710
H 3.322 1.586 -4.328
H 1.921 1.962 -3.318
C -1.171 0.175 2.521
O -0.193 -0.015 1.778
N -2.133 -0.745 2.675
N -1.263 1.263 3.321
H -2.649 -0.829 3.532
H -2.281 -1.511 2.025
H -0.724 2.089 3.113
H -2.109 1.364 3.847
```

Total energy: -82753.0511 eV

---

C12H28GaN6O6S | ωB97M-V/def2-TZVPD

```
54
C12H28GaN6O6S | OMol25 | ωB97M-V/def2-TZVPD
O 3.707 0.644 -2.870
H 4.191 0.967 -3.659
Ga 0.506 0.196 -1.397
N 1.093 2.015 -0.997
N 1.629 -0.166 0.256
N -1.278 0.658 -1.973
N -0.363 -1.545 -1.043
O 0.628 3.024 -1.677
O -1.513 1.905 -2.390
O -0.037 -2.460 -0.129
O 1.510 -1.114 1.137
C 2.324 0.928 0.667
C 2.047 2.118 -0.061
C -2.069 -0.393 -2.162
C -1.622 -1.603 -1.517
C 2.600 3.467 0.170
H 3.171 3.783 -0.711
H 3.259 3.466 1.037
H 1.773 4.170 0.323
C 3.156 0.827 1.898
H 3.866 0.000 1.803
H 2.554 0.644 2.796
H 3.716 1.752 2.056
C -3.403 -0.083 -2.721
C -2.600 -2.681 -1.196
H -3.259 0.686 -3.497
H -4.041 0.340 -1.925
H -3.857 -0.982 -3.148
H -2.204 -3.353 -0.434
H -2.831 -3.250 -2.109
H -3.540 -2.232 -0.837
H -0.578 2.416 -2.163
H 0.665 -1.967 0.473
C 2.951 -1.422 -2.166
H 3.933 -1.045 -1.920
H 2.636 -1.573 -3.186

Activity >
Search the data further above for the word "Total" and set down each line that has it, please.

Result >
Total charge: +1
Total energy: -82753.0511 eV